The Season of College Applications

Princeton Review

The Common App is one form of college application that students will use.

Mabel Ra, Editor

It’s official! The time has come for seniors to begin worrying about choosing colleges, going through applications, and writing personal statements. College application season has finally arrived for YLHS seniors!  


As there are thousands of different colleges for students worldwide to apply to, there are several different types of college applications YLHS seniors should become well acquainted with. The top tier types of college apps include the Common Application, the UC Application, Cal State Apply, as well as schools with their own application system.


Although each application system has its individual requirements, generally colleges will need your high school transcript, standardized testing scores (ACT, SAT, and/or SAT II Subject Tests), extracurriculars, leadership positions, volunteering experiences, one or two teacher recommendations, and essay questions.


Some YLHS seniors have already begun their college application journeys and are eager for their time beyond high school to commence!


Karissa Dole (12) has been an avid Mustang for four years, but she is now looking towards the state of Colorado for the next few years. For her personal statement, Karissa is writing about her volunteering experience at the Academy of Music for the Blind and how it taught her that there is “more to music than just playing notes.” Karissa’s dream college is Colorado University. Because her life goal is to work for the United States Olympic Committee, she thought it would be a perfect fit for her to attend Colorado University since their training center is located only five minutes away from the campus. She would like to major in international business.

(Here the page breaks off for calculated crystals)
********
DFT (PBE with a Hubbard U) results for Pa2MnCrO8 after structural relaxation.

The space group is P-1 (No. 2) and the conventional cell measures 4.717, 4.734 and 6.974 Å, with angles of 89.21, 89.33 and 88.80 degrees. Symmetry generates all atoms from Pa at (0.011, 0.494, 0.250), Mn at (0.500, 0.000, 0.000), Cr at (0.500, 0.000, 0.500), O at (0.198, 0.299, 0.506), O at (0.207, 0.291, 0.994), O at (0.315, 0.827, 0.248) and O at (0.317, 0.803, 0.741).

The calculated volume comes out at 13.0 Å³/atom. The value obtained for the raw total energy is -8.765 eV per atom.

* * * * *

Arrangement A

{"formula": "RbCd2Pt2", "functional": "PBEsol", "state": "relaxed", "sg": "P4/mbm", "n_ef_per_ev_cell": 2.18, "lattice_angstrom": [[2.924, 0.000, 0.000], [0.000, 8.324, 0.000], [0.000, 0.000, 8.324]], "species": ["Pt", "Rb", "Cd", "Pt", "Pt", "Cd", "Cd", "Rb", "Pt", "Cd"], "frac_coords": [[0.000, 0.155, 0.345], [0.000, 0.000, 0.000], [0.500, 0.862, 0.362], [0.000, 0.345, 0.845], [0.000, 0.655, 0.155], [0.500, 0.638, 0.862], [0.500, 0.362, 0.138], [0.000, 0.500, 0.500], [0.000, 0.845, 0.655], [0.500, 0.138, 0.638]]}

***

Arrangement B

{"formula": "RbCd2Pt2", "functional": "PBEsol", "state": "relaxed", "sg": "I4/mmm", "n_ef_per_ev_cell": 1.41, "lattice_angstrom": [[4.561, 0.000, 0.000], [0.000, 4.561, 0.000], [-2.281, -2.281, 5.587]], "species": ["Rb", "Cd", "Pt", "Pt", "Cd"], "frac_coords": [[0.000, 0.000, 0.000], [0.250, 0.750, 0.500], [0.613, 0.613, 0.226], [0.387, 0.387, 0.774], [0.750, 0.250, 0.500]]}

***

On energetic grounds, arrangement A is preferred over the next structure by 69 meV/atom.

***

Arrangement A

{"formula": "CdRePt", "functional": "PBEsol", "state": "relaxed", "sg": "I4mm", "n_ef_per_ev_cell": 2.53, "lattice_angstrom": [[2.765, 0.000, 0.000], [0.000, 2.765, 0.000], [-1.382, -1.382, 6.272]], "species": ["Re", "Cd", "Pt"], "frac_coords": [[0.323, 0.323, 0.645], [0.000, 0.000, 0.000], [0.677, 0.677, 0.355]]}

***

Arrangement B

{"formula": "CdRePt", "functional": "PBEsol", "state": "relaxed", "sg": "P3m1", "n_ef_per_ev_cell": 2.62, "lattice_angstrom": [[-0.635, 0.357, 2.711], [-1.701, -1.500, -1.654], [3.560, -5.801, 1.599]], "species": ["Re", "Cd", "Pt"], "frac_coords": [[0.667, 0.333, 0.350], [0.000, 0.000, 0.998], [0.333, 0.667, 0.652]]}

***

On energetic grounds, arrangement A is preferred over the next structure by 39 meV/atom.

***

Arrangement A

{"formula": "CdRuPt", "functional": "PBEsol", "state": "relaxed", "sg": "I4mm", "n_ef_per_ev_cell": 2.94, "lattice_angstrom": [[-2.275, 1.415, 0.719], [0.118, -1.102, 2.543], [4.548, 4.483, 0.217]], "species": ["Cd", "Pt", "Ru"], "frac_coords": [[0.002, 0.002, 0.004], [0.322, 0.322, 0.645], [0.676, 0.676, 0.352]]}

***

Arrangement B
********


Grace Kim (12) is looking to stay within the state of California, with aspirations of attending the University of California, Davis or University of California, Santa Cruz. Grace is choosing to major in neuroscience, because she believes she has a “calling for the medical field.” Her personal statement is about her major, art backgrounds, and her volunteering experiences working with children. In the future, Grace would like to become a pediatric doctor or a general surgeon.


Juliette Fournier (12) has been dreaming to attend the University of California, Los Angeles for several years now. After attending a summer camp for architecture at UCLA, Juliette knew she would enjoy pursuing this as a career. Her personal essay is about overcoming her pre-recital jitters as a pianist. Juliette would either like to major in applied mathematics or engineering.


With the next few months being dedicated towards college applications, it is vital for seniors to persevere and apply to the colleges they really want. If you are currently a senior beginning the application process, you can do it!